********
Entry 1:
# Dy2Al4ZnAu3
Computed powder XRD pattern, Cu Kα. Input: a DFT-relaxed cell (PBE, Alexandria).

Most intense lines, 15 to 90 degrees two-theta, in order of falling intensity:
d (Å)	I_rel
2.625	100
2.751	74
2.122	65
3.341	54
2.893	47
1.930	44
1.680	35
1.428	34
3.002	28
3.612	25

Atomic structure:
Unit cell a=4.2448 b=4.2448 c=10.8348 alpha=90.00 beta=90.00 gamma=90.00
Sites, in units of the cell vectors:
1 Dy 0.0000 0.5000 0.2444
2 Dy 0.5000 0.0000 0.7556
3 Al 0.0000 0.0000 0.5000
4 Al 0.0000 0.5000 0.8652
5 Al 0.5000 0.0000 0.1348
6 Al 0.5000 0.5000 0.5000
7 Zn 0.5000 0.5000 0.0000
8 Au 0.0000 0.0000 0.0000
9 Au 0.0000 0.5000 0.6369
10 Au 0.5000 0.0000 0.3631



Entry 2:
# Er3Al5Au6
Computed powder XRD pattern, Cu Kα. Input: a DFT-relaxed cell (PBE, Alexandria).

Most intense lines, 15 to 90 degrees two-theta, in order of falling intensity:
d (Å)	I_rel
2.589	100
2.553	53
2.199	47
2.529	42
2.943	37
2.382	36
3.816	34
2.182	26
3.202	23
2.250	22

Atomic structure:
Unit cell a=4.3986 b=13.0892 c=9.4286 alpha=90.00 beta=90.00 gamma=90.00
Sites, in units of the cell vectors:
1 Er 0.2500 0.0492 0.2483
2 Er 0.2500 0.4508 0.2483
3 Er 0.2500 0.7500 0.2646
4 Er 0.7500 0.2500 0.7354
5 Er 0.7500 0.5492 0.7517
6 Er 0.7500 0.9508 0.7517
7 Al 0.2500 0.0834 0.6049
8 Al 0.2500 0.4166 0.6049
9 Al 0.2500 0.6140 0.9782
10 Al 0.2500 0.7500 0.7416
11 Al 0.2500 0.8860 0.9782
12 Al 0.7500 0.1140 0.0218
13 Al 0.7500 0.2500 0.2584
14 Al 0.7500 0.3860 0.0218
15 Al 0.7500 0.5834 0.3951
16 Al 0.7500 0.9166 0.3951
17 Au 0.2500 0.0878 0.8743
18 Au 0.2500 0.2500 0.0880
19 Au 0.2500 0.2500 0.4447
20 Au 0.2500 0.4122 0.8743
21 Au 0.2500 0.6091 0.5327
22 Au 0.2500 0.8909 0.5327
23 Au 0.7500 0.1091 0.4673
24 Au 0.7500 0.3909 0.4673
25 Au 0.7500 0.5878 0.1257
26 Au 0.7500 0.7500 0.5553
27 Au 0.7500 0.7500 0.9120
28 Au 0.7500 0.9122 0.1257



Entry 3:
# Er2Al3Au9
Computed powder XRD pattern, Cu Kα. Input: a DFT-relaxed cell (PBE, Alexandria).

Most intense lines, 15 to 90 degrees two-theta, in order of falling intensity:
d (Å)	I_rel
2.511	100
2.280	87
2.521	48
1.355	29
3.077	24
1.358	19
2.574	17
2.444	15
2.545	15
1.630	14

Atomic structure:
Unit cell a=7.9011 b=7.9011 c=10.8186 alpha=111.74 beta=111.74 gamma=59.94
Sites, in units of the cell vectors:
1 Er 0.0846 0.2508 0.2474
2 Er 0.2508 0.0846 0.7474
3 Er 0.7492 0.9154 0.2526
4 Er 0.9154 0.7492 0.7526
5 Al 0.0000 0.5000 0.0000
6 Al 0.1527 0.6752 0.5015
7 Al 0.3249 0.8473 0.9985
8 Al 0.5000 0.0000 0.5000
9 Al 0.6752 0.1527 0.0015
10 Al 0.8473 0.3249 0.4985
11 Au 0.0211 0.8591 0.0727
12 Au 0.1409 0.9789 0.4273
13 Au 0.1886 0.5820 0.2546
14 Au 0.1897 0.3550 0.5656
15 Au 0.2993 0.4784 0.9246
16 Au 0.3499 0.6501 0.7500
17 Au 0.3550 0.1897 0.0656
18 Au 0.4180 0.8114 0.2454
19 Au 0.4784 0.2993 0.4246
20 Au 0.5216 0.7007 0.5754
21 Au 0.5820 0.1886 0.7546
22 Au 0.6450 0.8103 0.9344
23 Au 0.6501 0.3499 0.2500
24 Au 0.7007 0.5216 0.0754
25 Au 0.8103 0.6450 0.4344
26 Au 0.8114 0.4180 0.7454
27 Au 0.8591 0.0211 0.5727
28 Au 0.9789 0.1409 0.9273
********

Could you start at the top of the rows earlier on and reproduce each line, ending with the one that has "0.5820 0.1886"?

Entry 1:
# Dy2Al4ZnAu3
Computed powder XRD pattern, Cu Kα. Input: a DFT-relaxed cell (PBE, Alexandria).

Most intense lines, 15 to 90 degrees two-theta, in order of falling intensity:
d (Å)	I_rel
2.625	100
2.751	74
2.122	65
3.341	54
2.893	47
1.930	44
1.680	35
1.428	34
3.002	28
3.612	25

Atomic structure:
Unit cell a=4.2448 b=4.2448 c=10.8348 alpha=90.00 beta=90.00 gamma=90.00
Sites, in units of the cell vectors:
1 Dy 0.0000 0.5000 0.2444
2 Dy 0.5000 0.0000 0.7556
3 Al 0.0000 0.0000 0.5000
4 Al 0.0000 0.5000 0.8652
5 Al 0.5000 0.0000 0.1348
6 Al 0.5000 0.5000 0.5000
7 Zn 0.5000 0.5000 0.0000
8 Au 0.0000 0.0000 0.0000
9 Au 0.0000 0.5000 0.6369
10 Au 0.5000 0.0000 0.3631



Entry 2:
# Er3Al5Au6
Computed powder XRD pattern, Cu Kα. Input: a DFT-relaxed cell (PBE, Alexandria).

Most intense lines, 15 to 90 degrees two-theta, in order of falling intensity:
d (Å)	I_rel
2.589	100
2.553	53
2.199	47
2.529	42
2.943	37
2.382	36
3.816	34
2.182	26
3.202	23
2.250	22

Atomic structure:
Unit cell a=4.3986 b=13.0892 c=9.4286 alpha=90.00 beta=90.00 gamma=90.00
Sites, in units of the cell vectors:
1 Er 0.2500 0.0492 0.2483
2 Er 0.2500 0.4508 0.2483
3 Er 0.2500 0.7500 0.2646
4 Er 0.7500 0.2500 0.7354
5 Er 0.7500 0.5492 0.7517
6 Er 0.7500 0.9508 0.7517
7 Al 0.2500 0.0834 0.6049
8 Al 0.2500 0.4166 0.6049
9 Al 0.2500 0.6140 0.9782
10 Al 0.2500 0.7500 0.7416
11 Al 0.2500 0.8860 0.9782
12 Al 0.7500 0.1140 0.0218
13 Al 0.7500 0.2500 0.2584
14 Al 0.7500 0.3860 0.0218
15 Al 0.7500 0.5834 0.3951
16 Al 0.7500 0.9166 0.3951
17 Au 0.2500 0.0878 0.8743
18 Au 0.2500 0.2500 0.0880
19 Au 0.2500 0.2500 0.4447
20 Au 0.2500 0.4122 0.8743
21 Au 0.2500 0.6091 0.5327
22 Au 0.2500 0.8909 0.5327
23 Au 0.7500 0.1091 0.4673
24 Au 0.7500 0.3909 0.4673
25 Au 0.7500 0.5878 0.1257
26 Au 0.7500 0.7500 0.5553
27 Au 0.7500 0.7500 0.9120
28 Au 0.7500 0.9122 0.1257



Entry 3:
# Er2Al3Au9
Computed powder XRD pattern, Cu Kα. Input: a DFT-relaxed cell (PBE, Alexandria).

Most intense lines, 15 to 90 degrees two-theta, in order of falling intensity:
d (Å)	I_rel
2.511	100
2.280	87
2.521	48
1.355	29
3.077	24
1.358	19
2.574	17
2.444	15
2.545	15
1.630	14

Atomic structure:
Unit cell a=7.9011 b=7.9011 c=10.8186 alpha=111.74 beta=111.74 gamma=59.94
Sites, in units of the cell vectors:
1 Er 0.0846 0.2508 0.2474
2 Er 0.2508 0.0846 0.7474
3 Er 0.7492 0.9154 0.2526
4 Er 0.9154 0.7492 0.7526
5 Al 0.0000 0.5000 0.0000
6 Al 0.1527 0.6752 0.5015
7 Al 0.3249 0.8473 0.9985
8 Al 0.5000 0.0000 0.5000
9 Al 0.6752 0.1527 0.0015
10 Al 0.8473 0.3249 0.4985
11 Au 0.0211 0.8591 0.0727
12 Au 0.1409 0.9789 0.4273
13 Au 0.1886 0.5820 0.2546
14 Au 0.1897 0.3550 0.5656
15 Au 0.2993 0.4784 0.9246
16 Au 0.3499 0.6501 0.7500
17 Au 0.3550 0.1897 0.0656
18 Au 0.4180 0.8114 0.2454
19 Au 0.4784 0.2993 0.4246
20 Au 0.5216 0.7007 0.5754
21 Au 0.5820 0.1886 0.7546